For my BSc Computer Science degree, I completed a research project focused on evolving soft modular robots using an Artificial Intelligence Gene Regulatory Network (GRN) model.
Between two parts of the piece: records of crystals
┌──
Entry 1:
A plane-wave DFT calculation with GGA-PBE was carried out for a geometry-optimized NaLaP2H4CO7 structure.

Geometry as POSCAR:
```
NaLaP2H4CO7
1.0
7.0726 0.0000 0.0000
0.0000 15.3265 0.0000
-0.6403 0.0000 6.9322
Na La P H C O
4 4 8 16 4 28
Direct
0.2082 0.0365 0.1368 Na
0.2082 0.4635 0.6368 Na
0.7918 0.5365 0.3632 Na
0.7918 0.9635 0.8632 Na
0.3444 0.6027 0.0723 La
0.3444 0.8973 0.5723 La
0.6556 0.1027 0.4277 La
0.6556 0.3973 0.9277 La
0.1712 0.0904 0.6362 P
0.1712 0.4096 0.1362 P
0.4780 0.6571 0.5977 P
0.4780 0.8429 0.0977 P
0.5220 0.1571 0.9023 P
0.5220 0.3429 0.4023 P
0.8288 0.5904 0.8638 P
0.8288 0.9096 0.3638 P
0.0314 0.7018 0.2919 H
0.0314 0.7982 0.7919 H
0.0998 0.6117 0.3764 H
0.0998 0.8883 0.8764 H
0.1923 0.2028 0.8771 H
0.1923 0.2972 0.3771 H
0.3117 0.2325 0.6742 H
0.3117 0.2675 0.1742 H
0.6883 0.7325 0.8258 H
0.6883 0.7675 0.3258 H
0.8077 0.7028 0.6229 H
0.8077 0.7972 0.1229 H
0.9002 0.1117 0.1236 H
0.9002 0.3883 0.6236 H
0.9686 0.2018 0.2081 H
0.9686 0.2982 0.7081 H
0.2891 0.1785 0.7740 C
0.2891 0.3215 0.2740 C
0.7109 0.6785 0.7260 C
0.7109 0.8215 0.2260 C
0.0081 0.6584 0.3903 O
0.0081 0.8416 0.8903 O
0.0159 0.6260 0.9605 O
0.0159 0.8740 0.4605 O
0.1477 0.0114 0.7718 O
0.1477 0.4886 0.2718 O
0.3086 0.0609 0.4821 O
0.3086 0.4391 0.9821 O
0.3672 0.5969 0.7259 O
0.3672 0.9031 0.2259 O
0.3875 0.7479 0.5696 O
0.3875 0.7521 0.0696 O
0.4963 0.1132 0.0983 O
0.4963 0.3868 0.5983 O
0.5037 0.6132 0.4017 O
0.5037 0.8868 0.9017 O
0.6125 0.2479 0.9304 O
0.6125 0.2521 0.4304 O
0.6328 0.0969 0.7741 O
0.6328 0.4031 0.2741 O
0.6914 0.5609 0.0179 O
0.6914 0.9391 0.5179 O
0.8523 0.5114 0.7282 O
0.8523 0.9886 0.2282 O
0.9841 0.1260 0.5395 O
0.9841 0.3740 0.0395 O
0.9919 0.1584 0.1097 O
0.9919 0.3416 0.6097 O
```

Entry 2:
A plane-wave DFT calculation with GGA-PBE was carried out for a geometry-optimized LaH6CO7 structure.

Geometry as POSCAR:
```
LaH6CO7
1.0
5.2682 0.0000 0.0000
0.0000 9.0096 0.0000
-0.8345 0.0000 15.2294
La H C O
4 24 4 28
Direct
0.0040 0.0034 0.2713 La
0.0040 0.4966 0.7713 La
0.9960 0.5034 0.2287 La
0.9960 0.9966 0.7287 La
0.1550 0.0222 0.9274 H
0.1550 0.4778 0.4274 H
0.1885 0.1668 0.0965 H
0.1885 0.3332 0.5965 H
0.2827 0.1639 0.8928 H
0.2827 0.3361 0.3928 H
0.3650 0.0236 0.0959 H
0.3650 0.4764 0.5959 H
0.4370 0.0698 0.6346 H
0.4370 0.4302 0.1346 H
0.4852 0.6436 0.7767 H
0.4852 0.8564 0.2767 H
0.5148 0.1436 0.7233 H
0.5148 0.3564 0.2233 H
0.5630 0.5698 0.8654 H
0.5630 0.9302 0.3654 H
0.6350 0.5236 0.4041 H
0.6350 0.9764 0.9041 H
0.7173 0.6639 0.6072 H
0.7173 0.8361 0.1072 H
0.8115 0.6668 0.4035 H
0.8115 0.8332 0.9035 H
0.8450 0.5222 0.5726 H
0.8450 0.9778 0.0726 H
0.0847 0.0713 0.5005 C
0.0847 0.4287 0.0005 C
0.9153 0.5713 0.9995 C
0.9153 0.9287 0.4995 C
0.1318 0.2466 0.7566 O
0.1318 0.2534 0.2566 O
0.1355 0.1288 0.5762 O
0.1355 0.3712 0.0762 O
0.1507 0.7476 0.7354 O
0.1507 0.7524 0.2354 O
0.1580 0.1175 0.4284 O
0.1580 0.3825 0.9284 O
0.1906 0.0580 0.1059 O
0.1906 0.4420 0.6059 O
0.3015 0.0549 0.8951 O
0.3015 0.4451 0.3951 O
└──
This project involved three main stages: (1) Replicating an existing GRN model, (2) Applying this model to control soft-bodied robots, and (3) Refining the model to improve its performance.
[Materials data that have nothing to do with the piece]
Record 1
This record from Materials Project describes crystalline Ba8Si43Au3 at its relaxed geometry. The functional is PBE. Values from VASP.

The structure in Quantum ESPRESSO input format:
```
&SYSTEM
  ibrav = 0, nat = 54, ntyp = 3
/
ATOMIC_SPECIES
Ba 137.33 Ba.upf
Si 28.09 Si.upf
Au 196.97 Au.upf
ATOMIC_POSITIONS crystal
Ba 0.0000 0.2384 0.7616
Ba 0.2384 0.7616 0.0000
Ba 0.2387 0.7613 0.5000
Ba 0.2483 0.2483 0.2483
Ba 0.5000 0.2387 0.7613
Ba 0.7517 0.7517 0.7517
Ba 0.7613 0.5000 0.2387
Ba 0.7616 0.0000 0.2384
Si 0.0531 0.8689 0.7485
Si 0.0543 0.6298 0.7483
Si 0.0657 0.0672 0.4360
Si 0.0665 0.0665 0.0665
Si 0.0672 0.4360 0.0657
Si 0.0678 0.4364 0.4368
Si 0.1311 0.9469 0.2515
Si 0.1336 0.5554 0.2519
Si 0.2479 0.5000 0.7521
Si 0.2515 0.1311 0.9469
Si 0.2519 0.1336 0.5554
Si 0.2517 0.3702 0.9457
Si 0.2525 0.3690 0.5575
Si 0.3690 0.5575 0.2525
Si 0.3702 0.9457 0.2517
Si 0.4353 0.4353 0.4353
Si 0.4360 0.0657 0.0672
Si 0.4364 0.4368 0.0678
Si 0.4368 0.0678 0.4364
Si 0.4425 0.6310 0.7475
Si 0.4446 0.8664 0.7481
Si 0.5000 0.7521 0.2479
Si 0.5554 0.2519 0.1336
Si 0.5575 0.2525 0.3690
Si 0.5632 0.5636 0.9322
Si 0.5636 0.9322 0.5632
Si 0.5640 0.9328 0.9343
Si 0.5647 0.5647 0.5647
Si 0.6298 0.7483 0.0543
Si 0.6310 0.7475 0.4425
Si 0.7475 0.4425 0.6310
Si 0.7485 0.0531 0.8689
Si 0.7483 0.0543 0.6298
Si 0.7481 0.4446 0.8664
Si 0.7521 0.2479 0.5000
Si 0.8664 0.7481 0.4446
Si 0.8689 0.7485 0.0531
Si 0.9322 0.5632 0.5636
Si 0.9335 0.9335 0.9335
Si 0.9328 0.9343 0.5640
Si 0.9343 0.5640 0.9328
Si 0.9457 0.2517 0.3702
Si 0.9469 0.2515 0.1311
Au 0.0000 0.7503 0.2497
Au 0.2497 0.0000 0.7503
Au 0.7503 0.2497 0.0000
CELL_PARAMETERS angstrom
7.3940 4.2689 6.0354
-7.3940 4.2689 6.0354
0.0000 -8.5378 6.0354
```

=====

Record 2
This record from Materials Project describes crystalline BeAu3 at its relaxed geometry. The functional is PBE. Values from VASP.

The structure in Quantum ESPRESSO input format:
```
&SYSTEM
  ibrav = 0, nat = 4, ntyp = 2
/
ATOMIC_SPECIES
Be 9.01 Be.upf
Au 196.97 Au.upf
ATOMIC_POSITIONS crystal
Be 0.0000 0.0000 0.0000
Au 0.0000 0.5000 0.5000
Au 0.5000 0.0000 0.5000
Au 0.5000 0.5000 0.0000
CELL_PARAMETERS angstrom
4.0117 0.0000 0.0000
0.0000 4.0117 0.0000
0.0000 0.0000 4.0117
```

=====

Record 3
This record from Materials Project describes crystalline BeAu at its relaxed geometry. The functional is PBE. Values from VASP.

The structure in Quantum ESPRESSO input format:
```
&SYSTEM
  ibrav = 0, nat = 8, ntyp = 2
/
ATOMIC_SPECIES
Be 9.01 Be.upf
Au 196.97 Au.upf
ATOMIC_POSITIONS crystal
Be 0.1535 0.3465 0.6535
Be 0.3465 0.6535 0.1535
Be 0.6535 0.1535 0.3465
Be 0.8465 0.8465 0.8465
Au 0.1551 0.1551 0.1551
Au 0.3449 0.8449 0.6551
Au 0.6551 0.3449 0.8449
Au 0.8449 0.6551 0.3449
CELL_PARAMETERS angstrom
4.7236 0.0000 0.0000
0.0000 4.7236 0.0000
0.0000 0.0000 4.7236
```

=====

Record 4
This record from Materials Project describes crystalline BeAu2 at its relaxed geometry. The functional is PBE. Values from VASP.
As part of this project, I designed and implemented a developmental model and a decentralised controller in Python, which allows the GRN to generate the robot’s design and control its behaviour. I also implemented evolutionary algorithms to optimise a population of robots, which were simulated and evaluated using the EvoGym Simulator.
I achieved a score of 86% (First class) for the report.
Key Technical Achievements
Successfully replicated a GRN model in Python from a relevant research paper to verify their results.
Designed and implemented a GRN developmental model which co-evolves the robot’s design and controller.
Developed my program to work on multiple processor cores by integrating my methods with Python’s multiprocessing library. This led to a dramatic improvement in efficiency and reduced runtime.
Records of crystals, kept here for reference:
-- begin --
Record 1
Density functional theory data (PBE) for an optimized crystal structure of NaGaSiSnS2O12.

Calculated values
The calculation puts the energy at -112.207 eV per formula unit.

Cell lengths 8.694, 8.694, 22.680 Å; angles 90.56, 90.56, 59.97 degrees
Fractional positions:
Na (0.002, 0.998, 0.500)
Na (0.297, 0.338, 0.834)
Na (0.338, 0.297, 0.334)
Na (0.648, 0.680, 0.166)
Na (0.680, 0.648, 0.666)
Na (0.998, 0.002, 0.000)
Ga (0.279, 0.354, 0.690)
Ga (0.354, 0.279, 0.190)
Ga (0.649, 0.657, 0.522)
Ga (0.657, 0.649, 0.022)
Ga (0.989, 0.992, 0.856)
Ga (0.992, 0.989, 0.356)
Si (0.014, 0.331, 0.587)
Si (0.331, 0.014, 0.087)
Si (0.358, 0.941, 0.421)
Si (0.707, 0.992, 0.255)
Si (0.941, 0.358, 0.921)
Si (0.992, 0.707, 0.755)
Sn (0.308, 0.314, 0.985)
Sn (0.314, 0.308, 0.485)
Sn (0.652, 0.671, 0.317)
Sn (0.671, 0.652, 0.817)
Sn (0.987, 0.991, 0.651)
Sn (0.991, 0.987, 0.151)
S (0.034, 0.607, 0.089)
S (0.283, 0.685, 0.253)
S (0.285, 0.991, 0.755)
S (0.326, 0.606, 0.587)
S (0.365, 0.654, 0.921)
S (0.606, 0.326, 0.087)
S (0.607, 0.034, 0.589)
S (0.654, 0.365, 0.421)
S (0.658, 0.948, 0.921)
S (0.685, 0.283, 0.753)
S (0.948, 0.658, 0.421)
S (0.991, 0.285, 0.255)
O (0.007, 0.791, 0.091)
O (0.013, 0.805, 0.813)
O (0.025, 0.171, 0.307)
O (0.102, 0.361, 0.646)
O (0.126, 0.502, 0.141)
O (0.134, 0.504, 0.426)
O (0.135, 0.282, 0.527)
O (0.138, 0.344, 0.922)
O (0.141, 0.316, 0.248)
O (0.141, 0.539, 0.033)
O (0.149, 0.998, 0.093)
O (0.160, 0.963, 0.412)
O (0.161, 0.785, 0.590)
O (0.171, 0.025, 0.807)
O (0.172, 0.511, 0.752)
O (0.180, 0.771, 0.307)
O (0.185, 0.810, 0.916)
O (0.212, 0.957, 0.700)
O (0.214, 0.801, 0.200)
O (0.282, 0.135, 0.027)
O (0.287, 0.516, 0.244)
O (0.301, 0.526, 0.531)
O (0.316, 0.141, 0.748)
O (0.344, 0.138, 0.422)
O (0.351, 0.498, 0.639)
O (0.355, 0.488, 0.926)
O (0.361, 0.102, 0.146)
O (0.446, 0.684, 0.974)
O (0.453, 0.822, 0.480)
O (0.458, 0.821, 0.762)
O (0.468, 0.630, 0.866)
O (0.470, 0.652, 0.258)
O (0.472, 0.867, 0.361)
O (0.482, 0.628, 0.582)
O (0.488, 0.355, 0.426)
O (0.498, 0.351, 0.139)
O (0.502, 0.126, 0.641)
O (0.504, 0.134, 0.926)
O (0.509, 0.820, 0.077)
O (0.511, 0.172, 0.252)
O (0.516, 0.287, 0.744)
O (0.526, 0.301, 0.031)
O (0.539, 0.141, 0.533)
O (0.612, 0.880, 0.866)
O (0.619, 0.860, 0.583)
O (0.628, 0.482, 0.082)
O (0.630, 0.468, 0.366)
O (0.652, 0.470, 0.758)
O (0.676, 0.842, 0.974)
O (0.684, 0.446, 0.474)
O (0.686, 0.812, 0.256)
O (0.771, 0.180, 0.807)
O (0.785, 0.161, 0.090)
O (0.791, 0.007, 0.591)
O (0.801, 0.214, 0.700)
O (0.805, 0.013, 0.313)
O (0.810, 0.185, 0.416)
O (0.812, 0.686, 0.756)
O (0.816, 0.958, 0.194)
O (0.820, 0.509, 0.577)
O (0.821, 0.458, 0.262)
O (0.822, 0.453, 0.980)
O (0.822, 0.955, 0.915)
O (0.842, 0.676, 0.474)
O (0.860, 0.619, 0.083)
O (0.867, 0.472, 0.861)
O (0.880, 0.612, 0.366)
O (0.955, 0.822, 0.415)
O (0.957, 0.212, 0.200)
O (0.958, 0.816, 0.694)
O (0.963, 0.160, 0.912)
O (0.998, 0.149, 0.593)

=====

Record 2
-- stop --
Followed an iterative development methodology throughout when researching, implementing, and testing different approaches to improve the model’s performance.
Conducted non-parametric tests using R Studio to statistically evaluate the model’s performance against a benchmark algorithm.
One vision within the robotics community is to develop machines that can operate autonomously without human supervision. This has important applications for tasks such as search-and-rescue missions, which are often too dangerous or infeasible for humans. Soft robots have several advantages as they can morph and adapt to the environment’s terrain and are more robust than rigid robots, which are constrained by their fixed joints.
Gene Regulatory Networks (GRN) are inspired by the complex biological mechanisms which enable cells to ‘switch’ particular genes on/off in response to environmental signals, yielding dynamic cellular behaviour. GRNs also have a memory capacity, which allows them to store and recall different patterns. These properties could make GRNs an effective mechanism for controlling soft-bodied robots on different objectives.

Through my initial background research, I discovered that GRNs had already been applied to control rigid-body 2D agents. Previous work ranges from controlling a simple robot which can navigate towards changing light sources to more complex tasks such as driving a simulated race car. However, I found that many previous studies do not apply GRNs to control soft-bodied agents and the few that do only evolve the robot for simple locomotion tasks, where the objective is to control the robot to move the quickest in one direction.
To address these gaps in research, my project investigated the effectiveness of Gene Regulatory Networks for evolving soft-bodied robots for locomotion and object-manipulation tasks.
The following short clip shows how the best GRN robots performed at each stage of the project after being evolved. The first two stages of the project were conducted using ‘hand-designed’ robot designs, whereas the final stage used a different approach that co-evolves the robot’s design and behaviour.
Experiments were conducted on simulated tasks provided by the EvoGym Simulator:
Walker-v0 - The objective is for the robot to travel the fastest on flat terrain.
UpStepper-v0 - The objective is slightly harder as the robot must climb up stairs of varying lengths.
Carrier-v0 – The objective is for the robot to travel the fastest on flat terrain while carrying a block.
As you can see, the initial performance is poor, as the robots appear to move sporadically and inefficiently. The robots from the second stage performed much better as the model was tweaked to reduce noise in the network, and a different evolutionary algorithm was implemented. The final stage shows that the co-evolved robots present unique robot designs optimised for the tasks, and the robots generally achieve well.
Overall, I really enjoyed this project as it allowed me to explore research focused on developing autonomous artificial agents. I also enjoyed implementing the developmental model and seeing how a Gene Regulatory Network can be evolved to generate very animal-like soft-bodied robot designs with different materials, albeit within the limitations of a voxel-based representation.
However, one major challenge I faced within this project was managing experiment times, as some evolutionary experiments took multiple days to optimise robots for a single task, even when taking advantage of multiprocessing. To accommodate this, I conducted experiments on three different machines concurrently.
There are many ways to expand this work. It would be interesting to explore whether Gene Regulatory Networks could allow robots to adapt to different tasks by recalling stored memories for different tasks. Future work could also evolve the robot’s sensor configuration so that the robot has sensors which are optimised for particular tasks.